Print everything further below character by character.

********
This entry pairs a crystal structure of Tb2Fe17H3 with its computed PXRD pattern. Radiation: a wavelength of 1.5418 Å. Structure: the PBE geometry in the Materials Project.
Kinematic intensities with the Lorentz-polarization factor, no thermal factor.

Top 12 peaks for 2θ = 15–90°, by angle:
2θ/deg, d/Å, Rel. int., index
30.18, 2.962, 44, 1 1 2
36.42, 2.467, 41, 3 0 0
41.00, 2.202, 34, 2 0 3
42.30, 2.137, 66, 2 2 0
42.75, 2.115, 100, 3 0 2
44.09, 2.054, 33, 0 0 4
46.40, 1.957, 18, 2 1 3
47.99, 1.896, 17, 2 2 2
61.71, 1.503, 20, 4 1 2
62.75, 1.481, 19, 2 2 4
77.36, 1.234, 16, 6 0 0
80.16, 1.197, 18, 3 0 6

Cell and atoms:
a = 8.5465 Å, b = 8.5465 Å, c = 8.2166 Å
α = 90.00°, β = 90.00°, γ = 120.00°
Space group P6_3/mmc (No. 194)
Unique sites:
1 Tb 0.0000 0.0000 0.2500 (multiplicity 2)
2 Tb 0.3333 0.6667 0.2500 (multiplicity 2)
3 Fe 0.0000 0.5000 0.0000 (multiplicity 6)
4 Fe 0.0483 0.3772 0.7500 (multiplicity 12)
5 Fe 0.1666 0.3333 0.0155 (multiplicity 12)
6 Fe 0.3333 0.6667 0.6052 (multiplicity 4)
7 H 0.1649 0.3298 0.2500 (multiplicity 6)

----------

La2Mo: theoretical PXRD pattern (λ = 1.5418 Å (Cu Kα)), based on a GGA-PBE-relaxed structure.
Neutral-atom scattering factors, no anomalous dispersion.

Principal peaks in the range 2θ = 10–80°, in order of rising 2θ:
d [Å]  intensity
6.809  100
4.169  11
3.404  34
2.706  32
2.085  24
1.993  26
1.778  16
1.651  14
1.294  9
1.204  8

Unit cell a=8.339 b=8.339 c=8.339 alpha=60.00 beta=60.00 gamma=60.00
Fractional positions:
La1 0.000 0.000 0.000
La2 0.000 0.000 0.500
La3 0.000 0.500 0.000
La4 0.500 0.000 0.000
Mo1 0.125 0.125 0.125
Mo2 0.875 0.875 0.875

----------

Record 1
# BaNaSmSeO6
Simulated XRD peak list, Cu Kα X-rays. Input: a crystal structure in the Materials Project, relaxed with PBE.

Structure:
```
data_BaNaSmSeO6
_cell_length_a 5.830
_cell_length_b 5.830
_cell_length_c 5.830
_cell_angle_alpha 60.00
_cell_angle_beta 60.00
_cell_angle_gamma 60.00
_symmetry_space_group_name_H-M 'P 1'
_symmetry_Int_Tables_number 1
_symmetry_space_group_name_Hall 'P 1'
loop_
_atom_site_label
_atom_site_fract_x
_atom_site_fract_y
_atom_site_fract_z
Ba1 0.000 0.000 0.000
Na1 0.500 0.500 0.500
Sm1 0.750 0.750 0.750
Se1 0.250 0.250 0.250
O1 0.027 0.027 0.473
O2 0.027 0.473 0.027
O3 0.027 0.473 0.473
O4 0.473 0.027 0.027
O5 0.473 0.027 0.473
O6 0.473 0.473 0.027
```

Top 10 peaks for 2θ from 10° to 90°, in order of falling intensity:
2theta  I_rel
30.7  100
54.5  39
43.9  33
18.6  25
88.8  22
63.9  19
72.5  18
36.1  17
21.6  12
48.1  9



Record 2
# Ti2In3Br9
Simulated XRD peak list, Cu Kα X-rays. Input: a crystal structure in the Materials Project, relaxed with PBE.

Structure:
```
data_Ti2In3Br9
_cell_length_a 7.518
_cell_length_b 7.518
_cell_length_c 18.448
_cell_angle_alpha 90.00
_cell_angle_beta 90.00
_cell_angle_gamma 120.00
_symmetry_space_group_name_H-M 'P 1'
_symmetry_Int_Tables_number 1
_symmetry_space_group_name_Hall 'P 1'
loop_
_atom_site_label
_atom_site_fract_x
_atom_site_fract_y
_atom_site_fract_z
Ti1 0.333 0.667 0.000
Ti2 0.333 0.667 0.172
Ti3 0.667 0.333 0.500
Ti4 0.667 0.333 0.672
In1 0.000 0.000 0.111
In2 0.000 0.000 0.611
In3 0.333 0.667 0.391
In4 0.333 0.667 0.790
In5 0.667 0.333 0.290
In6 0.667 0.333 0.891
Br1 0.011 0.506 0.087
Br2 0.172 0.344 0.250
Br3 0.172 0.828 0.250
Br4 0.173 0.346 0.923
Br5 0.173 0.827 0.923
Br6 0.344 0.172 0.750
Br7 0.346 0.173 0.423
Br8 0.494 0.506 0.087
Br9 0.494 0.989 0.087
Br10 0.506 0.011 0.587
Br11 0.506 0.494 0.587
Br12 0.654 0.827 0.923
Br13 0.656 0.828 0.250
Br14 0.827 0.173 0.423
Br15 0.827 0.654 0.423
Br16 0.828 0.172 0.750
Br17 0.828 0.656 0.750
Br18 0.989 0.494 0.587
```

Top 10 peaks for 2θ from 10° to 90°, in order of falling intensity:
2theta  I_rel
29.1  100
31.1  71
48.4  55
33.7  38
57.5  35
36.8  33
27.8  24
14.4  14
58.7  13
44.2  13



Record 3
# TcC5ClO5
Simulated XRD peak list, Cu Kα X-rays. Input: a crystal structure in the Materials Project, relaxed with PBE.

Structure:
```
data_TcC5ClO5
_cell_length_a 11.729
********

This entry pairs a crystal structure of Tb2Fe17H3 with its computed PXRD pattern. Radiation: a wavelength of 1.5418 Å. Structure: the PBE geometry in the Materials Project.
Kinematic intensities with the Lorentz-polarization factor, no thermal factor.

Top 12 peaks for 2θ = 15–90°, by angle:
2θ/deg, d/Å, Rel. int., index
30.18, 2.962, 44, 1 1 2
36.42, 2.467, 41, 3 0 0
41.00, 2.202, 34, 2 0 3
42.30, 2.137, 66, 2 2 0
42.75, 2.115, 100, 3 0 2
44.09, 2.054, 33, 0 0 4
46.40, 1.957, 18, 2 1 3
47.99, 1.896, 17, 2 2 2
61.71, 1.503, 20, 4 1 2
62.75, 1.481, 19, 2 2 4
77.36, 1.234, 16, 6 0 0
80.16, 1.197, 18, 3 0 6

Cell and atoms:
a = 8.5465 Å, b = 8.5465 Å, c = 8.2166 Å
α = 90.00°, β = 90.00°, γ = 120.00°
Space group P6_3/mmc (No. 194)
Unique sites:
1 Tb 0.0000 0.0000 0.2500 (multiplicity 2)
2 Tb 0.3333 0.6667 0.2500 (multiplicity 2)
3 Fe 0.0000 0.5000 0.0000 (multiplicity 6)
4 Fe 0.0483 0.3772 0.7500 (multiplicity 12)
5 Fe 0.1666 0.3333 0.0155 (multiplicity 12)
6 Fe 0.3333 0.6667 0.6052 (multiplicity 4)
7 H 0.1649 0.3298 0.2500 (multiplicity 6)

----------

La2Mo: theoretical PXRD pattern (λ = 1.5418 Å (Cu Kα)), based on a GGA-PBE-relaxed structure.
Neutral-atom scattering factors, no anomalous dispersion.

Principal peaks in the range 2θ = 10–80°, in order of rising 2θ:
d [Å]  intensity
6.809  100
4.169  11
3.404  34
2.706  32
2.085  24
1.993  26
1.778  16
1.651  14
1.294  9
1.204  8

Unit cell a=8.339 b=8.339 c=8.339 alpha=60.00 beta=60.00 gamma=60.00
Fractional positions:
La1 0.000 0.000 0.000
La2 0.000 0.000 0.500
La3 0.000 0.500 0.000
La4 0.500 0.000 0.000
Mo1 0.125 0.125 0.125
Mo2 0.875 0.875 0.875

----------

Record 1
# BaNaSmSeO6
Simulated XRD peak list, Cu Kα X-rays. Input: a crystal structure in the Materials Project, relaxed with PBE.

Structure:
```
data_BaNaSmSeO6
_cell_length_a 5.830
_cell_length_b 5.830
_cell_length_c 5.830
_cell_angle_alpha 60.00
_cell_angle_beta 60.00
_cell_angle_gamma 60.00
_symmetry_space_group_name_H-M 'P 1'
_symmetry_Int_Tables_number 1
_symmetry_space_group_name_Hall 'P 1'
loop_
_atom_site_label
_atom_site_fract_x
_atom_site_fract_y
_atom_site_fract_z
Ba1 0.000 0.000 0.000
Na1 0.500 0.500 0.500
Sm1 0.750 0.750 0.750
Se1 0.250 0.250 0.250
O1 0.027 0.027 0.473
O2 0.027 0.473 0.027
O3 0.027 0.473 0.473
O4 0.473 0.027 0.027
O5 0.473 0.027 0.473
O6 0.473 0.473 0.027
```

Top 10 peaks for 2θ from 10° to 90°, in order of falling intensity:
2theta  I_rel
30.7  100
54.5  39
43.9  33
18.6  25
88.8  22
63.9  19
72.5  18
36.1  17
21.6  12
48.1  9



Record 2
# Ti2In3Br9
Simulated XRD peak list, Cu Kα X-rays. Input: a crystal structure in the Materials Project, relaxed with PBE.

Structure:
```
data_Ti2In3Br9
_cell_length_a 7.518
_cell_length_b 7.518
_cell_length_c 18.448
_cell_angle_alpha 90.00
_cell_angle_beta 90.00
_cell_angle_gamma 120.00
_symmetry_space_group_name_H-M 'P 1'
_symmetry_Int_Tables_number 1
_symmetry_space_group_name_Hall 'P 1'
loop_
_atom_site_label
_atom_site_fract_x
_atom_site_fract_y
_atom_site_fract_z
Ti1 0.333 0.667 0.000
Ti2 0.333 0.667 0.172
Ti3 0.667 0.333 0.500
Ti4 0.667 0.333 0.672
In1 0.000 0.000 0.111
In2 0.000 0.000 0.611
In3 0.333 0.667 0.391
In4 0.333 0.667 0.790
In5 0.667 0.333 0.290
In6 0.667 0.333 0.891
Br1 0.011 0.506 0.087
Br2 0.172 0.344 0.250
Br3 0.172 0.828 0.250
Br4 0.173 0.346 0.923
Br5 0.173 0.827 0.923
Br6 0.344 0.172 0.750
Br7 0.346 0.173 0.423
Br8 0.494 0.506 0.087
Br9 0.494 0.989 0.087
Br10 0.506 0.011 0.587
Br11 0.506 0.494 0.587
Br12 0.654 0.827 0.923
Br13 0.656 0.828 0.250
Br14 0.827 0.173 0.423
Br15 0.827 0.654 0.423
Br16 0.828 0.172 0.750
Br17 0.828 0.656 0.750
Br18 0.989 0.494 0.587
```

Top 10 peaks for 2θ from 10° to 90°, in order of falling intensity:
2theta  I_rel
29.1  100
31.1  71
48.4  55
33.7  38
57.5  35
36.8  33
27.8  24
14.4  14
58.7  13
44.2  13



Record 3
# TcC5ClO5
Simulated XRD peak list, Cu Kα X-rays. Input: a crystal structure in the Materials Project, relaxed with PBE.

Structure:
```
data_TcC5ClO5
_cell_length_a 11.729